Eldest and I had a conversation last night about writing. She was concerned about not knowing how to write college essays, which are different from school essays. After some thought, Eldest decided that college essays require tone. I agree with this: school essays are descriptive, college essays need to be evocative, drawing the reader into the story. My husband the editor would say it's the difference between writing, "She cried," and making the reader cry.
Eldest wondered why her school doesn't teach students how to develop tone. Perhaps because the skills needed to succeed in school are generally not the same as the skills needed to be a writer. I've had a couple of interns this summer; most of them have good basic skills, but they write as if they are producing term papers. I realize that they've spent years honing this particular skill, but now they have to unlearn it and focus on writing for an audience.
### Data records from another source follow
~~~
The following is a GGA-PBE calculation of an optimized crystal structure of K2CrPt, from Alexandria via LeMat-Bulk.

```
data_K2CrPt
_chemical_formula_sum 'K8 Cr4 Pt4'
_space_group_name_H-M_alt 'I -4 2 d'
_space_group_IT_number 122
_space_group_name_Hall 'I -4 2bw'
_cell_length_a 12.036
_cell_length_b 12.036
_cell_length_c 4.908
_cell_angle_alpha 90.00
_cell_angle_beta 90.00
_cell_angle_gamma 90.00
loop_
_atom_site_label
_atom_site_type_symbol
_atom_site_fract_x
_atom_site_fract_y
_atom_site_fract_z
K1 K 0.078 0.250 0.125
Cr1 Cr 0.000 0.000 0.500
Pt1 Pt 0.000 0.000 0.000
```

Properties
Calculated formation energy, eV/f.u.: 1.791
Crystal system: tetragonal


The following is a GGA-PBE calculation of an optimized crystal structure of RbSrTa, from Alexandria via LeMat-Bulk.

```
data_RbSrTa
_chemical_formula_sum 'Rb2 Sr2 Ta2'
_space_group_name_H-M_alt 'P -6 m 2'
_space_group_IT_number 187
_space_group_name_Hall 'P -6 2'
_cell_length_a 6.1249
_cell_length_b 6.1249
_cell_length_c 8.7860
_cell_angle_alpha 90.00
_cell_angle_beta 90.00
_cell_angle_gamma 120.00
loop_
_atom_site_label
_atom_site_type_symbol
_atom_site_fract_x
_atom_site_fract_y
_atom_site_fract_z
Rb1 Rb 0.0000 0.0000 0.0000
Rb2 Rb 0.0000 0.0000 0.5000
Sr1 Sr 0.6667 0.3333 0.2130
Ta1 Ta 0.3333 0.6667 0.1289
```

Properties
Calculated formation energy, eV/f.u.: 3.717
Crystal system: hexagonal


The following is a GGA-PBE calculation of an optimized crystal structure of CoNi5I12, from Alexandria via LeMat-Bulk.

```
data_CoNi5I12
_chemical_formula_sum 'Co2 Ni10 I24'
_space_group_name_H-M_alt 'C 1 2/m 1'
_space_group_IT_number 12
_cell_length_a 6.821
_cell_length_b 11.847
_cell_length_c 14.603
_cell_angle_alpha 90.00
_cell_angle_beta 90.02
_cell_angle_gamma 90.00
loop_
_space_group_symop_operation_xyz
'x,y,z'
'-x,-y,-z'
'-x,y,-z'
'x,-y,z'
'x+1/2,y+1/2,z'
'-x+1/2,-y+1/2,-z'
'-x+1/2,y+1/2,-z'
'x+1/2,-y+1/2,z'
loop_
_atom_site_label
_atom_site_type_symbol
_atom_site_fract_x
_atom_site_fract_y
_atom_site_fract_z
Co1 Co 0.000 0.000 0.000
Ni1 Ni 0.000 0.167 0.500
Ni2 Ni 0.000 0.333 0.000
Ni3 Ni 0.000 0.500 0.500
I1 I 0.165 0.165 0.898
I2 I 0.167 0.000 0.603
I3 I 0.167 0.333 0.603
I4 I 0.174 0.500 0.899
```

Properties
Crystal system: monoclinic
E_form (uncorrected), eV/atom: -0.06


The following is a GGA-PBE calculation of an optimized crystal structure of U2Fe3Ge2, from Alexandria via LeMat-Bulk.

```
data_U2Fe3Ge2
_chemical_formula_sum 'U4 Fe6 Ge4'
_space_group_name_H-M_alt 'C 1 2/m 1'
_space_group_IT_number 12
_cell_length_a 11.556
_cell_length_b 4.213
_cell_length_c 4.733
_cell_angle_alpha 90.00
_cell_angle_beta 94.41
_cell_angle_gamma 90.00
loop_
_space_group_symop_operation_xyz
'x,y,z'
'-x,-y,-z'
~~~
As my conversation with my daughter morphed into a general discussion of schooling, I opined that while schools are good at divulging information, what very few do well is nurture passion. Passion is left up to the individual. Eldest immediately protested, "But why don't they
tell you that up front?!" Good question. It might not be a bad thing for a teacher to begin the year with a talk something like this:
"This year we'll be learning about [topic X]. I can promise you that you will learn a lot, and you will work hard. I can promise you that I will prepare you for [whatever], and that if you do all of the assignments, you will grow in knowledge and understanding.
However, I also know that along the way there are likely to be topics you find particularly interesting, or questions we won't be addressing in class. These are the seeds of intellectual passion, and whether they grow or not is ultimately
your responsibility. If you come to me and say, "Ms. X, I really like this topic. Can you suggest other materials?" I will bend over backward to help you find resources to feed your curiosity. There is nothing I like better than a hungry mind. But there's a difference between giving someone food and teaching him to grow his own. In the long run,
you're the one who needs to be able to nourish your intellectual passions. Take responsibility for it now."
Although Eldest is generally self-motivated, I think this kind of prelude would have given her permission to think bigger, take more initiative. It would have sent the message that wanting to know more is
normal. And it would have acknowledged that even in the best schools, it's not all up to the teacher.